Wanted:
Filter the rows further below: keep the lines with the word "PBE".

Listing:
+++
Starting from a cell relaxed with GGA-PBE, the powder X-ray diffraction pattern of TbY3Th3 was computed for Cu Kα (weighted mean of Kα1 and Kα2).

Principal peaks in the range 2θ from 10° to 90°, sorted by position:
| Position (°2θ) | I_rel | hkl |
| --- | --- | --- |
| 10.71 | 18.4 | 1 0 0 |
| 28.59 | 24.2 | 2 1 0 |
| 30.72 | 25.8 | 0 0 2 |
| 32.55 | 100.0 | 2 1 1 |
| 42.46 | 17.2 | 2 1 2 |
| 50.65 | 22.1 | 1 4 0 |
| 55.79 | 21.9 | 2 1 3 |
| 60.41 | 22.4 | 1 4 2 |
| 61.50 | 16.4 | 4 2 1 |
| 83.61 | 13.0 | 7 0 1 |

Structure:
a b c (Å): 9.5383 9.5383 5.8199
angles (deg): 90.00 90.00 120.00
Fractional positions:
Tb 0.3333 0.6667 0.2500
Tb 0.6667 0.3333 0.7500
Y 0.0438 0.2394 0.2500
Y 0.1957 0.9562 0.2500
Y 0.2394 0.1957 0.7500
Y 0.7606 0.8043 0.2500
Y 0.8043 0.0438 0.7500
Y 0.9562 0.7606 0.7500
Th 0.1035 0.4875 0.7500
Th 0.3840 0.8965 0.7500
Th 0.4875 0.3840 0.2500
Th 0.5125 0.6160 0.7500
Th 0.6160 0.1035 0.2500
Th 0.8965 0.5125 0.2500


Diffraction record for SmDySc2. The powder diffraction line list is computed, not measured: it uses a cell relaxed with PBE and Cu Kα.
Neutral-atom scattering factors, no anomalous dispersion.

Structure:
```
data_SmDySc2
_symmetry_space_group_name_H-M 'P -3 m 1'
_symmetry_Int_Tables_number 164
_symmetry_space_group_name_Hall '-P 3 2"'
_cell_length_a 3.4437
_cell_length_b 3.4437
_cell_length_c 10.9719
_cell_angle_alpha 90.00
_cell_angle_beta 90.00
_cell_angle_gamma 120.00
loop_
_atom_site_label
_atom_site_type_symbol
_atom_site_fract_x
_atom_site_fract_y
_atom_site_fract_z
Sm1 Sm 0.0000 0.0000 0.0000
Dy1 Dy 0.0000 0.0000 0.5000
Sc1 Sc 0.3333 0.6667 0.2516
```

Main lines, in order of falling intensity (15° ≤ 2θ ≤ 90°):
d_spacing, Rel. int.
2.620, 100.0
2.982, 39.4
5.486, 38.1
2.019, 26.6
2.743, 24.0
1.559, 20.3
1.458, 20.1
1.722, 17.7
1.439, 15.4
1.104, 13.5


Diffraction record for Li6FeO4F2. The XRD peak list is theoretical, not measured: it uses the PBE+U geometry in Alexandria and Cu Kα.
Peak positions follow from Bragg's law for the DFT cell and can differ from measured ones.

Structural model:
```
data_Li6FeO4F2
_cell_length_a 5.492
_cell_length_b 5.536
_cell_length_c 5.623
_cell_angle_alpha 62.55
_cell_angle_beta 63.51
_cell_angle_gamma 62.80
_space_group_name_H-M_alt 'P -1'
_space_group_IT_number 2
_space_group_name_Hall '-P 1'
loop_
_atom_site_label
_atom_site_fract_x
_atom_site_fract_y
_atom_site_fract_z
_atom_site_occupancy
Li1 0.002 0.412 0.253 1
Li2 0.222 0.996 0.064 1
Li3 0.410 0.810 0.524 1
Fe1 0.500 0.500 0.000 1
O1 0.151 0.707 0.920 1
O2 0.398 0.163 0.209 1
F1 0.281 0.623 0.388 1
```

Top 10 peaks for 2θ from 10° to 80°, in order of rising 2θ:
2θ/deg  I/Imax  h k l
18.6  45  0 0 1
19.0  100  0 1 0
20.1  22  1 1 1
22.0  31  0 1 1
22.3  68  1 1 0
36.4  29  0 1 2
37.3  22  1 2 0
37.6  22  2 0 1
51.1  13  1 2 3
51.8  13  1 3 2


1.
# Nd2ThFe9
Computed powder diffractogram, Cu Kα. Input: the PBE geometry in Alexandria.
Intensities are scaled so that the largest is 100.

Crystal structure
```
12
Lattice="2.578 1.489 8.359 -2.578 1.489 8.359 0.000 -2.977 8.359" Properties=species:S:1:pos:R:3 pbc="T T T"
Nd 0.000 0.000 3.558
Nd 0.000 0.000 21.520
Th 0.000 0.000 0.000
Fe -1.274 -0.736 10.373
Fe 0.000 0.000 8.338
Fe 0.000 -1.472 14.704
Fe -1.274 0.736 14.704
Fe 0.000 0.000 12.539
Fe 1.274 -0.736 10.373
Fe 0.000 1.472 10.373
Fe 0.000 0.000 16.739
Fe 1.274 0.736 14.704
```

Peak list (10 most intense, 10 to 80 degrees two-theta, low angle first)
2θ = 20.20°, I 17
2θ = 32.03°, I 50
2θ = 34.79°, I 49
2θ = 34.97°, I 34
2θ = 40.56°, I 35
2θ = 41.13°, I 100
2θ = 60.65°, I 15
2θ = 62.49°, I 13
2θ = 66.69°, I 29
2θ = 73.45°, I 17

---

2.
# UI5Cl
Computed powder diffractogram, Cu Kα. Input: the PBE geometry in Alexandria.
Intensities are scaled so that the largest is 100.

Crystal structure
```
14
Lattice="8.661 0.000 0.000 4.034 7.756 0.000 0.383 4.252 10.651" Properties=species:S:1:pos:R:3 pbc="T T T"
U 0.000 0.000 0.000
U 2.208 6.004 5.326
I 1.851 4.163 7.927
I 4.576 8.931 10.461
+++

Here it is:
Diffraction record for SmDySc2. The powder diffraction line list is computed, not measured: it uses a cell relaxed with PBE and Cu Kα.
Diffraction record for Li6FeO4F2. The XRD peak list is theoretical, not measured: it uses the PBE+U geometry in Alexandria and Cu Kα.
Computed powder diffractogram, Cu Kα. Input: the PBE geometry in Alexandria.
Computed powder diffractogram, Cu Kα. Input: the PBE geometry in Alexandria.